[Entries]
-- begin --
Density functional theory data (PBE) for BaBiF7 after structural relaxation.

space group = P2_1/c, No. 14
V = 17.289 Å³ per atom
raw total energy = -165.91 eV/cell

Cell: 5.7958 10.2035 10.5313 Å, 90.00 92.06 90.00°
Last column: nearest neighbours and their distance in Å.
Positions (direct):
Ba1 0.1917 0.1692 0.0079  2 F 2.48
Ba2 0.1917 0.3308 0.5079  2 F 2.48
Ba3 0.8083 0.6692 0.4921  2 F 2.48
Ba4 0.8083 0.8308 0.9921  2 F 2.48
Bi1 0.3152 0.6092 0.1865  6 F 2.03-2.07
Bi2 0.3152 0.8908 0.6865  6 F 2.03-2.07
Bi3 0.6848 0.1092 0.3135  6 F 2.03-2.07
Bi4 0.6848 0.3908 0.8135  6 F 2.03-2.07
F1 0.0169 0.6975 0.2427  1 Bi 2.06
F2 0.0169 0.8025 0.7427  1 Bi 2.06
F3 0.0905 0.5356 0.6192  2 Ba 2.48
F4 0.0905 0.9644 0.1192  2 Ba 2.48
F5 0.1524 0.0588 0.6305  1 Bi 2.03
F6 0.1524 0.4412 0.1305  1 Bi 2.03
F7 0.2446 0.7025 0.0156  1 Bi 2.06
F8 0.2446 0.7975 0.5156  1 Bi 2.06
F9 0.3806 0.0510 0.3876  1 Bi 2.04
F10 0.3806 0.4490 0.8876  1 Bi 2.04
F11 0.3979 0.5409 0.3673  1 Bi 2.07
F12 0.3979 0.9591 0.8673  1 Bi 2.07
F13 0.4898 0.2312 0.7545  1 Bi 2.07
F14 0.4898 0.2688 0.2545  1 Bi 2.07
F15 0.5102 0.7312 0.7455  1 Bi 2.07
F16 0.5102 0.7688 0.2455  1 Bi 2.07
F17 0.6021 0.0409 0.1327  1 Bi 2.07
F18 0.6021 0.4591 0.6327  1 Bi 2.07
F19 0.6194 0.5510 0.1124  1 Bi 2.04
F20 0.6194 0.9490 0.6124  1 Bi 2.04
F21 0.7554 0.2025 0.4844  1 Bi 2.06
F22 0.7554 0.2975 0.9844  1 Bi 2.06
F23 0.8476 0.5588 0.8695  1 Bi 2.03
F24 0.8476 0.9412 0.3695  1 Bi 2.03
F25 0.9095 0.0356 0.8808  2 Ba 2.48
F26 0.9095 0.4644 0.3808  2 Ba 2.48
F27 0.9831 0.1975 0.2573  1 Bi 2.06
F28 0.9831 0.3025 0.7573  1 Bi 2.06

Density functional theory data (PBE) for LiTmO3 after structural relaxation.

space group = Pm-3m, No. 221
V = 9.658 Å³ per atom
raw total energy = -30.29 eV/cell

Cell: 3.6415 3.6415 3.6415 Å, 90.00 90.00 90.00°
Last column: nearest neighbours and their distance in Å.
Positions (direct):
Li1 0.0000 0.0000 0.0000  6 O 1.82
Tm1 0.5000 0.5000 0.5000  12 O 2.57
O1 0.0000 0.0000 0.5000  2 Li 1.82
O2 0.0000 0.5000 0.0000  2 Li 1.82
O3 0.5000 0.0000 0.0000  2 Li 1.82

Density functional theory data (PBE) for SiO2 after structural relaxation.

space group = Fd-3c, No. 228
V = 18.506 Å³ per atom
raw total energy = -1080.43 eV/cell

Cell: 15.5621 15.5621 15.5621 Å, 60.00 60.00 60.00°
Last column: nearest neighbours and their distance in Å.
Positions (direct):
Si1 0.0053 0.2998 0.3645  4 O 1.63-1.72
Si2 0.0053 0.3645 0.8304  4 O 1.63-1.72
Si3 0.0053 0.8304 0.2998  4 O 1.63-1.72
Si4 0.1355 0.2002 0.4947  4 O 1.63-1.72
Si5 0.1355 0.4947 0.6696  4 O 1.63-1.72
Si6 0.1355 0.6696 0.2002  4 O 1.63-1.72
Si7 0.1696 0.6355 0.7002  4 O 1.63-1.72
Si8 0.1696 0.7002 0.9947  4 O 1.63-1.72
Si9 0.1696 0.9947 0.6355  4 O 1.63-1.72
Si10 0.2002 0.1355 0.6696  4 O 1.63-1.72
Si11 0.2002 0.4947 0.1355  4 O 1.63-1.72
Si12 0.2002 0.6696 0.4947  4 O 1.63-1.72
Si13 0.2998 0.0053 0.8304  4 O 1.63-1.72
Si14 0.2998 0.3645 0.0053  4 O 1.63-1.72
Si15 0.2998 0.8304 0.3645  4 O 1.63-1.72
Si16 0.3304 0.5053 0.7998  4 O 1.63-1.72
Si17 0.3304 0.7998 0.8645  4 O 1.63-1.72
Si18 0.3304 0.8645 0.5053  4 O 1.63-1.72
Si19 0.3645 0.0053 0.2998  4 O 1.63-1.72
Si20 0.3645 0.2998 0.8304  4 O 1.63-1.72
Si21 0.3645 0.8304 0.0053  4 O 1.63-1.72
Si22 0.4947 0.1355 0.2002  4 O 1.63-1.72
Si23 0.4947 0.2002 0.6696  4 O 1.63-1.72
Si24 0.4947 0.6696 0.1355  4 O 1.63-1.72
Si25 0.5053 0.3304 0.8645  4 O 1.63-1.72
Si26 0.5053 0.7998 0.3304  4 O 1.63-1.72
Si27 0.5053 0.8645 0.7998  4 O 1.63-1.72
Si28 0.6355 0.1696 0.9947  4 O 1.63-1.72
Si29 0.6355 0.7002 0.1696  4 O 1.63-1.72
Si30 0.6355 0.9947 0.7002  4 O 1.63-1.72
Si31 0.6696 0.1355 0.4947  4 O 1.63-1.72
Si32 0.6696 0.2002 0.1355  4 O 1.63-1.72
Si33 0.6696 0.4947 0.2002  4 O 1.63-1.72
Si34 0.7002 0.1696 0.6355  4 O 1.63-1.72
Si35 0.7002 0.6355 0.9947  4 O 1.63-1.72
Si36 0.7002 0.9947 0.1696  4 O 1.63-1.72
Si37 0.7998 0.3304 0.5053  4 O 1.63-1.72
Si38 0.7998 0.5053 0.8645  4 O 1.63-1.72
Si39 0.7998 0.8645 0.3304  4 O 1.63-1.72
Si40 0.8304 0.0053 0.3645  4 O 1.63-1.72
-- stop --

[Job]
Now transcribe all of the entries further up exactly.

[Outcome]
Density functional theory data (PBE) for BaBiF7 after structural relaxation.

space group = P2_1/c, No. 14
V = 17.289 Å³ per atom
raw total energy = -165.91 eV/cell

Cell: 5.7958 10.2035 10.5313 Å, 90.00 92.06 90.00°
Last column: nearest neighbours and their distance in Å.
Positions (direct):
Ba1 0.1917 0.1692 0.0079  2 F 2.48
Ba2 0.1917 0.3308 0.5079  2 F 2.48
Ba3 0.8083 0.6692 0.4921  2 F 2.48
Ba4 0.8083 0.8308 0.9921  2 F 2.48
Bi1 0.3152 0.6092 0.1865  6 F 2.03-2.07
Bi2 0.3152 0.8908 0.6865  6 F 2.03-2.07
Bi3 0.6848 0.1092 0.3135  6 F 2.03-2.07
Bi4 0.6848 0.3908 0.8135  6 F 2.03-2.07
F1 0.0169 0.6975 0.2427  1 Bi 2.06
F2 0.0169 0.8025 0.7427  1 Bi 2.06
F3 0.0905 0.5356 0.6192  2 Ba 2.48
F4 0.0905 0.9644 0.1192  2 Ba 2.48
F5 0.1524 0.0588 0.6305  1 Bi 2.03
F6 0.1524 0.4412 0.1305  1 Bi 2.03
F7 0.2446 0.7025 0.0156  1 Bi 2.06
F8 0.2446 0.7975 0.5156  1 Bi 2.06
F9 0.3806 0.0510 0.3876  1 Bi 2.04
F10 0.3806 0.4490 0.8876  1 Bi 2.04
F11 0.3979 0.5409 0.3673  1 Bi 2.07
F12 0.3979 0.9591 0.8673  1 Bi 2.07
F13 0.4898 0.2312 0.7545  1 Bi 2.07
F14 0.4898 0.2688 0.2545  1 Bi 2.07
F15 0.5102 0.7312 0.7455  1 Bi 2.07
F16 0.5102 0.7688 0.2455  1 Bi 2.07
F17 0.6021 0.0409 0.1327  1 Bi 2.07
F18 0.6021 0.4591 0.6327  1 Bi 2.07
F19 0.6194 0.5510 0.1124  1 Bi 2.04
F20 0.6194 0.9490 0.6124  1 Bi 2.04
F21 0.7554 0.2025 0.4844  1 Bi 2.06
F22 0.7554 0.2975 0.9844  1 Bi 2.06
F23 0.8476 0.5588 0.8695  1 Bi 2.03
F24 0.8476 0.9412 0.3695  1 Bi 2.03
F25 0.9095 0.0356 0.8808  2 Ba 2.48
F26 0.9095 0.4644 0.3808  2 Ba 2.48
F27 0.9831 0.1975 0.2573  1 Bi 2.06
F28 0.9831 0.3025 0.7573  1 Bi 2.06

Density functional theory data (PBE) for LiTmO3 after structural relaxation.

space group = Pm-3m, No. 221
V = 9.658 Å³ per atom
raw total energy = -30.29 eV/cell

Cell: 3.6415 3.6415 3.6415 Å, 90.00 90.00 90.00°
Last column: nearest neighbours and their distance in Å.
Positions (direct):
Li1 0.0000 0.0000 0.0000  6 O 1.82
Tm1 0.5000 0.5000 0.5000  12 O 2.57
O1 0.0000 0.0000 0.5000  2 Li 1.82
O2 0.0000 0.5000 0.0000  2 Li 1.82
O3 0.5000 0.0000 0.0000  2 Li 1.82

Density functional theory data (PBE) for SiO2 after structural relaxation.

space group = Fd-3c, No. 228
V = 18.506 Å³ per atom
raw total energy = -1080.43 eV/cell

Cell: 15.5621 15.5621 15.5621 Å, 60.00 60.00 60.00°
Last column: nearest neighbours and their distance in Å.
Positions (direct):
Si1 0.0053 0.2998 0.3645  4 O 1.63-1.72
Si2 0.0053 0.3645 0.8304  4 O 1.63-1.72
Si3 0.0053 0.8304 0.2998  4 O 1.63-1.72
Si4 0.1355 0.2002 0.4947  4 O 1.63-1.72
Si5 0.1355 0.4947 0.6696  4 O 1.63-1.72
Si6 0.1355 0.6696 0.2002  4 O 1.63-1.72
Si7 0.1696 0.6355 0.7002  4 O 1.63-1.72
Si8 0.1696 0.7002 0.9947  4 O 1.63-1.72
Si9 0.1696 0.9947 0.6355  4 O 1.63-1.72
Si10 0.2002 0.1355 0.6696  4 O 1.63-1.72
Si11 0.2002 0.4947 0.1355  4 O 1.63-1.72
Si12 0.2002 0.6696 0.4947  4 O 1.63-1.72
Si13 0.2998 0.0053 0.8304  4 O 1.63-1.72
Si14 0.2998 0.3645 0.0053  4 O 1.63-1.72
Si15 0.2998 0.8304 0.3645  4 O 1.63-1.72
Si16 0.3304 0.5053 0.7998  4 O 1.63-1.72
Si17 0.3304 0.7998 0.8645  4 O 1.63-1.72
Si18 0.3304 0.8645 0.5053  4 O 1.63-1.72
Si19 0.3645 0.0053 0.2998  4 O 1.63-1.72
Si20 0.3645 0.2998 0.8304  4 O 1.63-1.72
Si21 0.3645 0.8304 0.0053  4 O 1.63-1.72
Si22 0.4947 0.1355 0.2002  4 O 1.63-1.72
Si23 0.4947 0.2002 0.6696  4 O 1.63-1.72
Si24 0.4947 0.6696 0.1355  4 O 1.63-1.72
Si25 0.5053 0.3304 0.8645  4 O 1.63-1.72
Si26 0.5053 0.7998 0.3304  4 O 1.63-1.72
Si27 0.5053 0.8645 0.7998  4 O 1.63-1.72
Si28 0.6355 0.1696 0.9947  4 O 1.63-1.72
Si29 0.6355 0.7002 0.1696  4 O 1.63-1.72
Si30 0.6355 0.9947 0.7002  4 O 1.63-1.72
Si31 0.6696 0.1355 0.4947  4 O 1.63-1.72
Si32 0.6696 0.2002 0.1355  4 O 1.63-1.72
Si33 0.6696 0.4947 0.2002  4 O 1.63-1.72
Si34 0.7002 0.1696 0.6355  4 O 1.63-1.72
Si35 0.7002 0.6355 0.9947  4 O 1.63-1.72
Si36 0.7002 0.9947 0.1696  4 O 1.63-1.72
Si37 0.7998 0.3304 0.5053  4 O 1.63-1.72
Si38 0.7998 0.5053 0.8645  4 O 1.63-1.72
Si39 0.7998 0.8645 0.3304  4 O 1.63-1.72
Si40 0.8304 0.0053 0.3645  4 O 1.63-1.72